To do >
The reader should type out everything further below without altering anything.

Listing >
/*
Diffraction record for CeF4. The powder diffraction line list is computed, not measured: it uses the GGA-PBE geometry in Alexandria and Cu Ka.
Peak positions follow from Bragg's law for the DFT cell and can differ from measured ones.

Structure:
a = 6.0237 Å, b = 6.0237 Å, c = 5.6207 Å
α = 105.15°, β = 105.15°, γ = 119.26°
Sites, in units of the cell vectors:
Ce (0.1252, 0.8748, 0.7500)
Ce (0.8748, 0.1252, 0.2500)
F (0.0438, 0.5777, 0.3267)
F (0.1946, 0.2510, 0.0590)
F (0.2510, 0.1946, 0.5590)
F (0.4223, 0.9562, 0.1733)
F (0.5777, 0.0438, 0.8267)
F (0.7490, 0.8054, 0.4410)
F (0.8054, 0.7490, 0.9410)
F (0.9562, 0.4223, 0.6733)

Peak list (10 most intense, 2θ from 10° to 90°, in order of falling intensity)
2θ/deg, d (Å), I/Imax
19.0, 4.661, 100.0
25.2, 3.531, 82.6
19.5, 4.563, 76.9
34.1, 2.627, 38.5
40.8, 2.212, 25.8
49.5, 1.841, 24.9
31.0, 2.886, 24.8
41.4, 2.180, 19.2
50.2, 1.816, 16.9
31.3, 2.862, 15.0
*/

Done >
Diffraction record for CeF4. The powder diffraction line list is computed, not measured: it uses the GGA-PBE geometry in Alexandria and Cu Ka.
Peak positions follow from Bragg's law for the DFT cell and can differ from measured ones.

Structure:
a = 6.0237 Å, b = 6.0237 Å, c = 5.6207 Å
α = 105.15°, β = 105.15°, γ = 119.26°
Sites, in units of the cell vectors:
Ce (0.1252, 0.8748, 0.7500)
Ce (0.8748, 0.1252, 0.2500)
F (0.0438, 0.5777, 0.3267)
F (0.1946, 0.2510, 0.0590)
F (0.2510, 0.1946, 0.5590)
F (0.4223, 0.9562, 0.1733)
F (0.5777, 0.0438, 0.8267)
F (0.7490, 0.8054, 0.4410)
F (0.8054, 0.7490, 0.9410)
F (0.9562, 0.4223, 0.6733)

Peak list (10 most intense, 2θ from 10° to 90°, in order of falling intensity)
2θ/deg, d (Å), I/Imax
19.0, 4.661, 100.0
25.2, 3.531, 82.6
19.5, 4.563, 76.9
34.1, 2.627, 38.5
40.8, 2.212, 25.8
49.5, 1.841, 24.9
31.0, 2.886, 24.8
41.4, 2.180, 19.2
50.2, 1.816, 16.9
31.3, 2.862, 15.0